Stacy's Destiny (The Town of Pearl 2) - Page 68

“Tell him what you told me about the robberies and the break-ins,” Kenny stated over his shoulder.

“It was Gutry who broke into your woman’s cottage. He’s been watching her for weeks. He’s been planning this since that day he saw her at the hardware store. It was all he’s been talking about,” Smith stated.

“Where is he staying? No one’s seen Gutry for a while,” Max asked.

“He has a few spots he hides out in. Hey, that hurts!” Smith yelled as Eric dug his knee deeper and gripped his neck tighter.

“Start fucking telling us the locations now. She’s been missing for an hour.” Eric growled, and Smith started naming a few places.

“You bring him to the jail and lock him up. We’ll deal with him later,” Wyatt told Kenny as he, Charlie, Ben, Max, and Eric jumped on the ATVs. They decided to look at one of the places while the others split up to look at the other places.

“Call us on the radio as soon as you check out the locations,” Wyatt said. Then the sound of motors roaring and the ATVs taking off into the night echoed through the air.

* * * *

Stacy struggled with the ropes around her wrists as she smelt a fire burning. Gutry kept the burlap sack around her head, and she had no idea where she was. The smell of the burlap and dirt filled her nostrils, and now the smoke from the fire was impeding her ability to take regular breaths. The moron was going to suffocate her to death. She was scared, but she was also pretty angry. Initially she thought her captor was Barry. He had been the one harassing her and threatening her, but now that Gutry revealed himself, things made sense. Barry hadn’t been in Texas and couldn’t have broken into her cottage or taken her garments. It was Gutry, and she was certain that he was responsible for the other robberies around town as well. She felt his hand on her ankle, and she jerked away from him.

“Get off of me,” she yelled at him. Immediately he pulled the sack from around her head with such force, causing her to bang it against the rock she leaned against. She cried out in pain and felt the stinging sensation next to her temple. Damn, that hurt.

He locked gazes with her, and she could see the anger and craziness in his dark eyes. He was out of control. He pulled her by her shoulders and shook her hard.

“You belong to me now! Don

’t fight me, Stacy, or I swear I will hurt you,” he yelled at her.

“Why are you doing this? What do you want from me?” she cried out, feeling terrified.

He didn’t respond. Instead he looked down at her thighs, which were now bare from the abrupt movement earlier. Her skirt lifted, and the upper part of her blouse hung lower, revealing some of her breast to his eyes.

He licked his lips then began to straddle her. He was heavy and reeked of smoke and sweat. “Please get off of me. Please don’t do this to me,” she cried. Then he began to pull her blouse from her shoulder, making her breast pop out. She struggled with the ropes that bound her hands together. She leaned back and shook her body, trying to get him off of her, but instead he grabbed her breast and groped the skin.

“Oh God, please stop! Stop it!” she screamed in terror, never seeing his forearm shoot up until it was too late and made contact with her face. Her head flung to the side, and she could have sworn that she saw darkness for a second. The move had her sliding lower as Gutry unzipped his pants. He lifted up and kneeled over her then reached into his underwear. “No!” she screamed then lifted her knee hard, nailing him in the balls.

He hollered, and she pulled herself up, her knees scratching against the dirt and pebbles around her. He tried to get up, and she threw all of her weight into him, using her elbow to nail him again in the balls.

“Fucking bitch!” he roared as he swung his arms at her with less strength than full force but enough to hurt her. She rolled across the ground, her cheekbone slamming against more rocks and dirt stinging her, but she continued to fight. She saw the moonlight coming from the cave entrance as she used her stomach muscles to try and get to her knees. With her wrists tied together tight behind her back, it was difficult to move around without losing her balance. She got to her knees, her vision blurred, her cheek and head hurt like hell, but she had to get out of there. She wouldn’t give up. She began to rise when she felt the blow to her back and Gutry grab her ankle, pulling her back toward him. She screamed then kicked him hard, not sure what she made contact with because she couldn’t turn to look with her hands tied. He yelled again, and she continued to kick until she heard his grunts and felt him release her ankles. She was hysterical now as she struggled to make her wobbly legs work. She shook so badly as she collided with the wall before running free from the cave.

== Calculated molecules, kept here for reference ==
┌──
A cluster of 3 separate species, H6O3 in total, computed with ωB97M-V with the def2-TZVPD basis set.

```
9
Properties=species:S:1:pos:R:3:forces:R:3:lowdin_charge:R:1
O 1.007235 -0.863669 0.208249 0.264 0.025 0.008 -0.039
H 0.759073 -1.377365 0.976853 0.110 -0.188 0.322 0.060
H 0.520562 -1.261479 -0.513644 0.004 -0.194 -0.346 0.052
O -1.831394 -0.304263 0.259440 -0.443 -0.070 0.071 -0.043
H -1.686747 -1.098703 -0.254530 -0.177 -0.165 -0.129 0.023
H -1.013323 -0.176950 0.739828 0.175 0.325 0.022 0.000
O 0.410627 1.798227 -0.638716 -0.213 0.360 -0.197 -0.056
H 1.111103 2.371094 -0.326648 0.151 0.172 0.029 0.032
H 0.722864 0.913108 -0.450832 0.128 -0.264 0.220 -0.029
```
Positions in Å, forces in eV/Å.

**Kohn-Sham gap**: 11.31 eV
**Strongest force on any atom**: 0.463 eV/A
**ΔE to the lowest compared entry with this formula, charge and spin**: 0.639 eV
**Structure (SMILES)**: O.O.O
**Lowest unoccupied orbital energy**: 0.279 eV
**Net charge**: 0
**HOMO**: -11.03 eV
**Spin multiplicity**: 1

A cluster of 3 separate species, H6O3 in total at a distorted geometry, computed with ωB97M-V with the def2-TZVPD basis set.

```
9
Properties=species:S:1:pos:R:3:forces:R:3:lowdin_charge:R:1
O 2.860299 3.106632 2.303308 1.211 -1.868 1.168 -0.021
H 3.067246 2.607329 1.507764 -0.531 0.552 -0.299 0.069
H 2.447108 3.932686 2.186026 -0.960 1.035 -0.966 0.010
O 2.638352 7.355703 2.074728 -0.039 2.303 0.327 -0.093
H 2.491541 6.402699 2.084016 1.053 0.732 -0.956 0.012
H 3.310446 7.964620 1.617733 -1.245 -2.904 0.639 0.108
O 4.914500 5.057930 1.754043 -2.563 -2.557 0.572 -0.120
H 4.136572 5.643526 1.830669 1.005 0.195 -0.098 -0.027
H 4.394451 4.154665 1.945255 2.069 2.513 -0.388 0.061
```
Positions in Å, forces in eV/Å.

**Kohn-Sham gap**: 11.37 eV
**Strongest force on any atom**: 3.666 eV/A
**ΔE to the lowest compared entry with this formula, charge and spin**: 1.597 eV
**Structure (SMILES)**: O.O.O
**Lowest unoccupied orbital energy**: 0.152 eV
**Net charge**: 0
**HOMO**: -11.21 eV
**Spin multiplicity**: 1

A cluster of 3 separate species, H6O3 in total, computed with ωB97M-V with the def2-TZVPD basis set.

```
9
Properties=species:S:1:pos:R:3:forces:R:3:lowdin_charge:R:1
O -2.588281 -1.727612 0.494873 -0.212 -0.083 -0.065 -0.052
H -2.042651 -1.058772 0.081133 0.161 0.192 -0.164 0.019
H -2.094061 -1.994852 1.269833 0.093 -0.100 0.205 0.028
O 1.746019 1.969528 1.624413 0.127 0.174 0.174 -0.053
H 0.909849 1.558608 1.843973 -0.195 -0.087 0.061 0.025
H 1.945069 1.652738 0.743363 0.053 -0.124 -0.283 0.019
O 0.763769 -0.039862 -1.644047 -0.014 0.088 0.309 -0.051
H 0.438479 0.523818 -2.345967 -0.087 0.195 -0.170 0.032
H 0.921809 -0.883592 -2.067577 0.075 -0.256 -0.067 0.032
```
Positions in Å, forces in eV/Å.

**Kohn-Sham gap**: 11.83 eV
**Strongest force on any atom**: 0.322 eV/A
**ΔE to the lowest compared entry with this formula, charge and spin**: 0.541 eV
**Structure (SMILES)**: O.O.O
**Lowest unoccupied orbital energy**: 0.384 eV
**Net charge**: 0
**HOMO**: -11.45 eV
└──

The sound of some kind of engine roared just yards from where she stood.

“Help!” she screamed as the headlights of multiple vehicles illuminated the woods.

“You stupid bitch!” Gutry yelled then tackled her to the ground, knocking the breath from her. She gasped for air as he ripped her dress and pressed his forearm over her throat. She was never so scared in her entire life. Then suddenly lights and the sound of an engine passed by her head just as a body flew through the air, rolling Gutry off of her. Her chest heaved forward as she attempted to breathe while choking for air.

* * * *

Max was stunned as he drove the ATV over the hill and saw Stacy stumbling then Gutry tackle her. His arm lay across her throat as he hit her and ripped her dress. Max saw red and didn’t think twice as he revved the engine and dove off the ATV while it was still in motion. He tackled Gutry to the ground and beat him until someone grabbed his hands to stop him.

“That’s enough, Max, or you’re going to kill him!” Wyatt yelled, and Max was so upset and so enraged he felt himself gasping for air and practically drooling. He never wanted to kill anyone in his life, but when he saw Gutry on top of Stacy, he lost all self-control.

He swung his head around to see Eric, Charlie, and Ben surrounding Stacy.

“Lay still, honey. Let Charlie check your injuries over,” Eric told her, his voice sounding as if it rattled. Max approached and fell to his knees between Charlie and Ben on her other side.

“Is she okay?” Max asked as he saw her ripped dress, her bloody and bruised cheeks and body. She was a mess. Plus, she was having difficulty breathing as she cried hysterically.

“Is she okay?” Max asked again.

“I can’t tell with it being this dark. Let’s take it slowly and get her out of here,” Charlie stated. Both Max and Eric reached for her.

Tags: Dixie Lynn Dwyer The Town of Pearl Erotic
Source: Copyright 2016 - 2024